_Exercise_
Transcribe only the lines below with the word "Functional" in them.

_Material_
-- begin --
1.
Compound: BaNaTe2
Source: Alexandria via LeMat-Bulk
Functional: PBE
Structure: relaxed

Output
* E_form (uncorrected): -1039 meV per atom

```
BaNaTe2
1.0
2.538 1.465 7.112
-2.538 1.465 7.112
0.000 -2.930 7.112
Ba Na Te
1 1 2
Cartesian
0.000 0.000 0.000
0.000 0.000 3.780
0.000 0.000 12.435
0.000 0.000 16.159
```

2.
Compound: BaNaTe3
Source: Alexandria via LeMat-Bulk
Functional: PBE
Structure: relaxed

Output
* E_form (uncorrected): -926 meV per atom

```
BaNaTe3
1.0
17.536 0.000 0.000
0.000 6.763 0.000
0.000 0.000 6.127
Ba Na Te
4 4 12
Cartesian
4.384 0.000 0.180
4.384 3.381 2.883
13.152 0.000 5.947
13.152 3.381 3.243
0.057 1.691 4.595
8.711 5.072 4.595
8.825 1.691 1.532
17.479 5.072 1.532
1.639 1.691 1.532
2.318 3.910 5.699
2.318 6.234 3.491
6.449 0.529 3.491
6.449 2.852 5.699
7.129 5.072 1.532
10.407 1.691 4.595
11.086 3.910 0.427
11.086 6.234 2.636
15.217 0.529 2.636
15.217 2.852 0.427
15.897 5.072 4.595
```

3.
Compound: BaNa3Te
Source: Alexandria via LeMat-Bulk
Functional: PBE
Structure: relaxed

Output
* E_form (uncorrected): -284 meV per atom

```
BaNa3Te
1.0
6.099 0.000 0.000
0.000 6.099 0.000
0.000 0.000 6.099
Ba Na Te
1 3 1
Cartesian
0.000 0.000 0.000
0.000 3.050 3.050
3.050 0.000 3.050
3.050 3.050 0.000
3.050 3.050 3.050
```

4.
Compound: BaNa3Th2Te6
Source: Alexandria via LeMat-Bulk
Functional: PBE
Structure: relaxed

Output
* E_form (uncorrected): -1200 meV per atom

```
BaNa3Th2Te6
1.0
10.085 -2.283 0.000
10.085 2.283 0.000
-2.159 0.000 9.236
Ba Na Th Te
1 3 2 6
Cartesian
0.000 0.000 0.000
-1.080 0.000 4.618
6.491 0.000 1.519
11.520 0.000 7.717
5.276 0.000 6.101
12.735 0.000 3.135
2.176 0.000 5.342
3.310 0.000 1.002
8.323 0.000 6.714
9.688 0.000 2.521
14.701 0.000 8.234
15.835 0.000 3.894
```

5.
Compound: Ba2NaTmTe4
Source: Alexandria via LeMat-Bulk
Functional: PBE
Structure: relaxed

Output
* E_form (uncorrected): -1467 meV per atom

```
Ba2NaTmTe4
1.0
8.120 0.000 0.000
0.000 4.713 0.000
-2.638 0.000 7.783
Ba Na Tm Te
2 1 1 4
Cartesian
0.000 0.000 0.000
-1.319 2.356 3.892
2.741 0.000 3.892
4.060 2.356 0.000
1.631 2.356 1.899
0.288 0.000 6.004
5.193 0.000 1.779
3.851 2.356 5.884
```

6.
Compound: Ba3NaTm2Te6
Source: Alexandria via LeMat-Bulk
Functional: PBE
Structure: relaxed

Output
* E_form (uncorrected): -1486 meV per atom

```
Ba3NaTm2Te6
1.0
4.032 -6.983 0.000
4.032 6.983 0.000
-2.677 0.000 7.733
Ba Na Tm Te
3 1 2 6
Cartesian
0.000 0.000 0.000
4.032 2.251 0.000
4.032 -2.251 0.000
2.693 0.000 3.866
2.693 4.637 3.866
2.693 -4.637 3.866
1.290 2.421 2.195
-0.092 0.000 5.488
1.290 -2.421 2.195
4.096 2.421 5.538
5.479 0.000 2.245
4.096 -2.421 5.538
```

7.
Compound: Ba2Na3UTe6
Source: Alexandria via LeMat-Bulk
Functional: PBE
Structure: relaxed

Output
* E_form (uncorrected): -1123 meV per atom

```
Ba2Na3UTe6
1.0
4.174 -7.226 0.000
4.174 7.226 0.000
-2.848 0.000 7.389
Ba Na U Te
2 3 1 6
Cartesian
4.174 4.811 0.000
4.174 -4.811 0.000
-1.424 0.000 3.695
2.750 2.427 3.695
2.750 -2.427 3.695
4.174 0.000 0.000
0.113 2.126 5.565
1.736 0.000 1.753
0.113 -2.126 5.565
5.388 2.126 1.824
3.765 0.000 5.636
5.388 -2.126 1.824
```

8.
Compound: BaNaVTe2
Source: Alexandria via LeMat-Bulk
Functional: PBE
Structure: relaxed

Output
* E_form (uncorrected): 994 meV per atom

```
BaNaVTe2
1.0
6.408 0.000 0.000
0.000 6.408 0.000
0.000 0.000 5.858
Ba Na V Te
1 1 1 2
Cartesian
0.000 0.000 0.000
0.000 0.000 2.929
3.204 3.204 2.929
0.000 3.204 0.000
3.204 0.000 0.000
```

9.
Compound: BaNaVTe2
Source: Alexandria via LeMat-Bulk
Functional: PBE
Structure: relaxed

Output
* E_form (uncorrected): 354 meV per atom

```
BaNaVTe2
1.0
5.663 0.000 0.000
0.000 5.663 0.000
0.000 0.000 5.376
Ba Na V Te
1 1 1 2
Cartesian
0.000 0.000 0.000
0.000 0.000 2.688
2.832 2.832 0.000
0.000 2.832 2.688
2.832 0.000 2.688
```

10.
Compound: Ba3NaY2Te6
Source: Alexandria via LeMat-Bulk
Functional: PBE
Structure: relaxed

Output
* E_form (uncorrected): -1525 meV per atom

```
Ba3NaY2Te6
1.0
4.059 -7.029 0.000
4.059 7.029 0.000
-2.698 0.000 7.749
Ba Na Y Te
-- stop --

_Result_
Functional: PBE
Functional: PBE
Functional: PBE
Functional: PBE
Functional: PBE
Functional: PBE
Functional: PBE
Functional: PBE
Functional: PBE
Functional: PBE